A long long time ago, I decided I wanted to join the Peace Corps after I finished college. It was a decision I made that would determine which paths in my young life I was to take. It would be years before I could complete my goal but the paths happened to be very straight and flat. I finished high school, entered college, finished college, joined the Peace Corps, and now here I am with less than one year left in my service. Everything that was placed in front of me while on each path had been easy to pass. I was preparing myself for that one ultimate goal, the Peace Corps, and I knew exactly what I had to do to complete it.
It's looking like I am going to finish my service successfully, which begs the question, now what? Even though I have 11 months left, "Now what?" is becoming a real part of my future. A long long time ago, I decided I wanted to join the Peace Corps, and then...I couldn't say. I drew a blank if I tried to plan for my future after my service, like someone who knows nothing about quantum mechanics pondering theoretical physics. I hit a wall and as a result, couldn't think of one good option.
How could I have been so irresponsible? How could I care so little about my future to just brush my inability to plan my life aside? How could I ignore the fact that I wasn't sure of anything after Peace Corps? But hey, back up, back up. These questions are valid enough to be asked but it wasn't like as though I never had something in the works. The truth is, after I was unable to decide during college where I would go after Peace Corps, I told myself the decision would be made within those two years of service. I did have a plan, even if it wasn't planned, and it worked.
## Records of crystals from another source follow
<<<
No. 1
Starting from the PBE geometry in the Materials Project, the XRD peak list of Tm3Ge3Ru2 was calculated for Cu Ka.
Neutral-atom scattering factors, no anomalous dispersion.

Principal peaks in the range 10 to 90 degrees two-theta, low angle first:
2θ/deg  Rel. int.
33.47  732
34.15  184
34.54  1000
36.63  261
38.34  639
38.95  194
39.15  231
42.21  204
42.64  469
64.85  194

Crystal structure
```
Tm3Ge3Ru2
1.0
2.1204 -5.3489 0.0000
2.1204 5.3489 0.0000
0.0000 0.0000 13.8060
Tm Ge Ru
6 6 4
Direct
0.0773 0.9227 0.6137
0.0773 0.9227 0.8863
0.3536 0.6464 0.7500
0.6464 0.3536 0.2500
0.9227 0.0773 0.1137
0.9227 0.0773 0.3863
0.3390 0.6610 0.2500
0.3857 0.6143 0.5406
0.3857 0.6143 0.9594
0.6143 0.3857 0.0406
0.6143 0.3857 0.4594
0.6610 0.3390 0.7500
0.2128 0.7872 0.0833
0.2128 0.7872 0.4167
0.7872 0.2128 0.5833
0.7872 0.2128 0.9167
```

***

No. 2
Starting from the PBE geometry in the Materials Project, the XRD peak list of Zr3Fe2Sb3 was calculated for Cu Ka.
Neutral-atom scattering factors, no anomalous dispersion.

Principal peaks in the range 10 to 90 degrees two-theta, low angle first:
2θ/deg  Rel. int.
27.29  409
27.53  279
34.62  175
35.65  1000
35.76  211
35.90  167
41.92  388
42.41  663
46.70  215
56.25  110

Crystal structure
```
Zr3Fe2Sb3
1.0
6.8476 0.0000 0.0000
0.0000 4.3098 0.0000
-0.0849 0.0000 22.0702
Zr Fe Sb
12 8 12
Direct
0.0000 0.0000 0.0000
0.0000 0.0000 0.3342
0.0075 0.0000 0.6648
0.0151 0.5000 0.4854
0.0157 0.5000 0.8140
0.0181 0.5000 0.1491
0.5083 0.0000 0.6482
0.5104 0.5000 0.4994
0.5114 0.5000 0.1664
0.5145 0.0000 0.9800
0.5158 0.5000 0.8311
0.5168 0.0000 0.3149
0.1557 0.0000 0.5489
0.1576 0.0000 0.2160
0.1586 0.0000 0.8830
0.6535 0.0000 0.0972
0.6541 0.0000 0.7647
0.6556 0.0000 0.4313
0.8575 0.5000 0.9333
0.8591 0.5000 0.2667
0.2446 0.5000 0.6071
0.2451 0.5000 0.9413
0.2460 0.5000 0.2757
0.2793 0.0000 0.7680
0.2814 0.0000 0.4354
0.2818 0.0000 0.1014
0.7392 0.5000 0.0448
0.7412 0.5000 0.3791
0.7439 0.5000 0.7072
0.7765 0.0000 0.5458
0.7788 0.0000 0.2079
0.7808 0.0000 0.8745
```

***

No. 3
Starting from the PBE geometry in the Materials Project, the XRD peak list of K3Bi2As3O12 was calculated for Cu Ka.
Neutral-atom scattering factors, no anomalous dispersion.

Principal peaks in the range 10 to 90 degrees two-theta, low angle first:
2θ/deg  Rel. int.
13.70  882
18.57  226
19.42  328
26.02  212
27.27  310
27.61  569
28.92  1000
29.69  216
31.64  285
31.74  287

Crystal structure
```
K3Bi2As3O12
1.0
7.1139 -7.0256 0.0000
7.1139 7.0256 0.0000
-3.0026 0.0000 6.5192
K Bi As O
6 4 6 24
Direct
0.0000 0.0000 0.0000
0.0000 0.0000 0.5000
0.2241 0.7759 0.7500
0.4861 0.5139 0.7500
0.5139 0.4861 0.2500
0.7759 0.2241 0.2500
0.1160 0.4121 0.8343
0.4121 0.1160 0.3343
0.5879 0.8840 0.6657
0.8840 0.5879 0.1657
0.1498 0.3613 0.3607
0.2538 0.7462 0.2500
0.3613 0.1498 0.8607
0.6387 0.8502 0.1393
0.7462 0.2538 0.7500
0.8502 0.6387 0.6393
0.0482 0.4163 0.1557
0.0754 0.2095 0.3605
0.1077 0.7424 0.3274
0.1630 0.4919 0.5910
0.2095 0.0754 0.8605
>>>
The decision I've made for once I complete my service is to work at an international school in Bangkok and I'm going to pursue it passionately. I can say with no hesitation that I like Thailand. I know the people, I eat the food, and I speak the language. I'm comfortable here, almost as comfortable as I am in Michigan. Positions will open up starting in October and I will begin applying immediately. My decision was not made in haste. I've been thinking about where I want to live and how I want to live for over a year now. Bangkok is a big city with a few drawbacks, but for each drawback, it has something I like. International schools are popular in Bangkok and I'm hoping at least a few positions open up. Even though I was unable to plan for my life after Peace Corps, I was certain I'd figure something out.
What's my future look like now? It's time to eat rice.